Language Festival in Paris 8

The Faculty of Modern Languages and Cultures of the University Paris 8 organized its first Language Festival on 13-15 March 2023. This showcased cultural exchanges in different languages through workshops, artistic performances and debates allowing participants to explore the diversity of uses of languages and cultures.

In his welcoming address, the dean of the faculty, Dr Brice Chamouleau, underlined the importance of offering different approaches to discovering a multilingual and multicultural environment. To this end, the Language Festival aimed to develop participants’ plurilingual skills and reinforce intercultural exchange through experimental performance and creativity.

The program included 37 workshops, conferences and round table debates. The themes had jokes and humor, Arabic and Chinese calligraphy, and creative writing. Musical performances were offered as introductions to Brazilian percussion, Portuguese guitar, and singing by a fado concert. The Language Festival was ended by a theatrical performance in which students used several languages, a short film and a concert.

This event was also an opportunity to strengthen partnerships with cultural institutions which are recognized supporters of language teaching using various means, including the Camões Institute and the Ramon Llull Institute.

By creating a space to explore a diversity of languages and cultures through various means, the Language Festival offered all members of the University Paris 8 an opportunity to get involved. Participation by administrative personnel, lecturers and students ensured the success of this first Language Festival, which bodes well for future editions.

• Misplaced quantum chemistry results:
1.
C47H63N2P2PdSSi as an isolated structure. Source: the OMol25 dataset; level of theory: wB97M-V/def2-TZVPD.

Its spin multiplicity is 3. The energy comes out at -93509.04017 eV. Its total charge is +1. The HOMO-LUMO gap (alpha / beta) is 6.4 / 7.7 eV. The calculation puts the HOMO energy (alpha / beta) at -8.8 / -11.3 eV.

Cartesian coordinates (Å):
Pd: -0.51 -0.25 0.07
C: 3.23 0.82 -0.94
Si: 1.57 0.00 -1.16
C: 0.81 0.80 -2.71
C: 1.46 0.67 -3.94
C: 0.89 1.11 -5.12
C: -0.37 1.71 -5.10
C: -1.02 1.89 -3.89
C: -0.44 1.44 -2.69
P: -1.27 1.68 -1.08
C: -0.75 3.38 -0.54
C: -0.95 4.49 -1.58
C: -0.20 5.74 -1.14
C: 1.33 5.51 -1.17
C: 1.68 4.02 -1.02
C: 0.73 3.34 -0.04
C: -3.10 1.55 -1.41
C: -3.82 0.77 -0.29
C: -4.02 1.62 0.97
C: -4.88 2.84 0.64
C: -4.25 3.68 -0.48
C: -3.92 2.83 -1.71
C: 1.89 -1.84 -1.48
C: 3.20 -2.31 -1.62
C: 3.48 -3.67 -1.71
C: 2.45 -4.59 -1.67
C: 1.14 -4.15 -1.54
C: 0.85 -2.79 -1.44
P: -0.85 -2.13 -1.38
C: -2.05 -3.36 -0.71
C: -2.17 -4.79 -1.24
C: -3.57 -5.32 -0.85
C: -3.99 -4.84 0.56
C: -2.77 -4.56 1.43
C: -1.93 -3.41 0.83
C: -1.28 -1.87 -3.16
C: -0.81 -2.96 -4.13
C: -1.16 -2.53 -5.56
C: -2.68 -2.33 -5.74
C: -3.44 -2.39 -4.41
C: -2.78 -1.51 -3.36
H: 3.78 0.77 -1.89
H: 3.82 0.32 -0.16
H: 3.11 1.87 -0.67
H: 2.43 0.17 -3.98
H: 1.41 0.99 -6.06
H: -0.83 2.05 -6.02
H: -2.00 2.36 -3.88
H: -1.39 3.59 0.32
H: -2.01 4.71 -1.70
H: -0.58 4.17 -2.56
H: -0.53 6.02 -0.13
H: -0.47 6.58 -1.79
H: 1.79 6.07 -0.35
H: 1.75 5.90 -2.09
H: 2.71 3.92 -0.69
H: 1.62 3.52 -1.99
H: 0.79 3.87 0.92
H: 1.05 2.32 0.16
H: -3.09 0.93 -2.30
H: -3.28 -0.14 -0.06
H: -4.80 0.47 -0.67
H: -3.05 1.94 1.35
H: -4.49 1.03 1.76
H: -5.04 3.45 1.52
H: -5.87 2.50 0.31
H: -3.35 4.16 -0.09
H: -4.92 4.48 -0.77
H: -3.44 3.43 -2.49
H: -4.87 2.48 -2.14
H: 4.03 -1.60 -1.65
H: 4.51 -4.01 -1.82
H: 2.66 -5.65 -1.73
H: 0.34 -4.88 -1.54
H: -2.99 -2.86 -0.94
H: -1.41 -5.42 -0.77
H: -2.03 -4.86 -2.32
H: -3.55 -6.41 -0.89
H: -4.30 -4.99 -1.59
H: -4.63 -5.59 1.03
H: -4.59 -3.93 0.48
H: -2.16 -5.47 1.50
H: -3.07 -4.31 2.45
H: -0.89 -3.53 1.12
H: -2.28 -2.46 1.24
H: -0.68 -0.99 -3.41
H: -1.27 -3.92 -3.92
H: 0.27 -3.11 -4.04
H: -0.78 -3.27 -6.26
H: -0.63 -1.60 -5.77
H: -3.09 -3.08 -6.43
H: -2.87 -1.36 -6.21
H: -3.49 -3.43 -4.05
H: -4.48 -2.08 -4.56
H: -3.35 -1.56 -2.43
H: -2.85 -0.47 -3.70
S: 0.16 0.71 6.78
C: 0.02 0.63 5.00
C: 0.28 1.73 4.21
C: 0.10 1.64 2.84
N: -0.30 0.53 2.23
C: -0.51 -0.55 3.00
C: -0.37 -0.55 4.37
C: -1.48 1.35 7.12
C: -1.72 2.71 7.12
C: -3.02 3.15 7.35
N: -4.04 2.32 7.58
C: -3.78 1.01 7.60
C: -2.52 0.47 7.38
H: 0.61 2.66 4.66
H: 0.28 2.50 2.20
H: -0.82 -1.46 2.50
H: -0.55 -1.45 4.95
H: -0.92 3.42 6.96
H: -3.24 4.21 7.36
H: -4.63 0.36 7.81
H: -2.36 -0.60 7.42

Mulliken population analysis, charges in e, atoms 1 to 2: atom 1 (Pd): -1.156, atom 2 (C): -1.073

2.
C47H64BIN2PPt as an isolated structure. Source: the OMol25 dataset; level of theory: wB97M-V/def2-TZVPD.
• The quantum chemistry results stop here:

To follow are comments by participants (in different languages, of course!):

‘L’atelier si è svolto in due parti, una prima parte di traduzione del testo, dal francese all’italiano, insieme ad un gruppo di studenti italiani e italianisti, e una seconda parte di messa in scena del testo, in collaborazione con i gruppi che hanno tradotto o lavorato in altre lingue. È stato stimolante mettersi in gioco per trovare soluzioni originali di traduzione, ma allo stesso tempo adatte per i diversi testi proposti ed è stato d’aiuto confrontarsi con tutti i membri del gruppo per la traduzione. Per quanto riguarda la seconda parte, questa è stata caratterizzata da una componente più ludica, che ci ha permesso di utilizzare le diverse lingue di origine o studiate (italiano, inglese, spagnolo, tedesco e arabo) e dare vita ad un misto, fatto di creatività e multiculturalità.’

Guilia Bruna Pezzotti

‘I was one of the presenters at the language bar. The concept allowed the participants to get together, even though some didn’t know each other, and play different games in English. This workshop was my favorite because I could see how the participants, who were shy to speak in English in front of others, warmed up and became more confident. It shows how games can be part of learning and practicing a foreign language. In this way, it can be much more effective than we think.’ Bacar Faidati

‘Creo que el festival de las lenguas de la facultad de Lenguas y Culturas Extranjeras de la universidad Paris 8 permitió a los estudiantes de licenciatura y máster conocer a otros alumnos, profesores, abrirnos a culturas, prácticas, y actividades para descubrir otros países. La primera edición fue un éxito y espero que se repita de nuevo el año próximo .’ Charly Dernoncourt Corrouge